# Source
<<<
Record 1
A relaxed structure of BaScCo2, computed with PBE-GGA.

Calculated values
As for the space group: No. 141. The uncorrected energy is -5.125 eV/atom. The size of the total moment is 1.03 μB per formula unit. Its energy relative to the elements is 492 meV per atom.

a = 9.0055 Å, b = 9.0055 Å, c = 9.0055 Å
α = 148.17°, β = 148.17°, γ = 45.63°
Closest atoms and distances in Å follow each position.
Fractional coordinates of all 8 atoms:
Ba1 0.3750 0.6250 0.7500  8 Co 3.45, 4 Sc 3.49
Ba2 0.6250 0.3750 0.2500  8 Co 3.45, 4 Sc 3.49
Sc1 0.1250 0.8750 0.2500  4 Co 2.41
Sc2 0.8750 0.1250 0.7500  4 Co 2.41
Co1 0.0000 0.0000 0.0000  2 Sc 2.41, 2 Co 2.47
Co2 0.0000 0.0000 0.5000  2 Sc 2.41, 2 Co 2.47
Co3 0.0000 0.5000 0.0000  2 Sc 2.41, 2 Co 2.47
Co4 0.5000 0.0000 0.5000  2 Sc 2.41, 2 Co 2.47



Record 2
A relaxed structure of SrCa2Mo, computed with PBE-GGA.

Calculated values
As for the space group: No. 119. The uncorrected energy is -3.392 eV/atom. The size of the total moment is 2.48 μB per formula unit. Its energy relative to the elements is 738 meV per atom.

a = 5.6633 Å, b = 5.6633 Å, c = 5.6633 Å
α = 119.88°, β = 119.88°, γ = 90.20°
Closest atoms and distances in Å follow each position.
Fractional coordinates of all 4 atoms:
Sr1 0.0000 0.0000 0.0000  4 Mo 3.47, 4 Ca 3.47
Ca1 0.2500 0.7500 0.5000  4 Ca 3.47, 4 Sr 3.47
Ca2 0.5000 0.5000 0.0000  4 Mo 3.47, 4 Ca 3.47
Mo1 0.7500 0.2500 0.5000  4 Ca 3.47, 4 Sr 3.47



Record 3
A relaxed structure of Sm3Zn3Ag, computed with PBE-GGA.

Calculated values
As for the space group: No. 44. The uncorrected energy is -3.263 eV/atom. The size of the total moment is 0.00 μB per formula unit. Its energy relative to the elements is -287 meV per atom.

a = 10.4327 Å, b = 10.4327 Å, c = 10.4327 Å
α = 160.10°, β = 154.74°, γ = 32.37°
Closest atoms and distances in Å follow each position.
Fractional coordinates of all 7 atoms:
Sm1 0.0000 0.0000 0.0000  7 Zn 3.08-3.32
Sm2 0.3874 0.3874 0.0000  5 Zn 3.10-3.34, 2 Ag 3.16
Sm3 0.6901 0.1901 0.5000  8 Zn 3.19-3.40, 4 Ag 3.21
Zn1 0.1245 0.6245 0.5000  1 Ag 2.67, 2 Zn 2.68
Zn2 0.5542 0.5542 0.0000  2 Zn 2.68
Zn3 0.8341 0.8341 0.0000  2 Ag 2.75
Ag1 0.2579 0.7579 0.5000  3 Zn 2.67-2.75



Record 4
A relaxed structure of K2Tl4Hg3Au, computed with PBE-GGA.

Calculated values
As for the space group: No. 115. The uncorrected energy is -1.709 eV/atom. The size of the total moment is 0.00 μB per formula unit. Its energy relative to the elements is -125 meV per atom.

a = 5.3391 Å, b = 5.3391 Å, c = 11.7938 Å
α = 90.00°, β = 90.00°, γ = 90.00°
Closest atoms and distances in Å follow each position.
Fractional coordinates of all 10 atoms:
K1 0.0000 0.5000 0.2321  6 Hg 3.82-4.10, 2 Au 3.82, 9 Tl 4.04-4.14
K2 0.5000 0.0000 0.7679  6 Hg 3.82-4.10, 2 Au 3.82, 9 Tl 4.04-4.14
Tl1 0.0000 0.0000 0.5000  4 Hg 3.10
Tl2 0.0000 0.5000 0.8889  3 Hg 2.97-3.02, 2 Au 2.97
Tl3 0.5000 0.0000 0.1111  3 Hg 2.97-3.02, 2 Au 2.97
Tl4 0.5000 0.5000 0.5000  4 Hg 3.10
Hg1 0.0000 0.0000 0.0000  4 Tl 2.97
Hg2 0.0000 0.5000 0.6328  5 Tl 3.02-3.10
Hg3 0.5000 0.0000 0.3672  5 Tl 3.02-3.10
Au1 0.5000 0.5000 0.0000  4 Tl 2.97



Record 5
A relaxed structure of PRhW, computed with PBE-GGA.

Calculated values
As for the space group: No. 107. The uncorrected energy is -8.780 eV/atom. The size of the total moment is 0.00 μB per formula unit. Its energy relative to the elements is -209 meV per atom.

a = 5.2812 Å, b = 5.2812 Å, c = 5.2812 Å
α = 147.56°, β = 147.56°, γ = 46.53°
Closest atoms and distances in Å follow each position.
Fractional coordinates of all 3 atoms:
P1 0.0000 0.0000 0.0000  4 W 2.48, 4 Rh 2.63
Rh1 0.6656 0.6656 0.0000  4 P 2.63, 5 W 2.82-2.95
W1 0.3617 0.3617 0.0000  4 P 2.48



Record 6
A relaxed structure of SnRhIN2, computed with PBE-GGA.

Calculated values
As for the space group: No. 123. For the raw formation energy, the calculation gives 1.5307 eV/atom. The uncorrected energy is -4.380 eV/atom. The size of the total moment is 3.22 μB per formula unit.
>>>
# Work order
What is needed: start at the top of the entries further up and restate each line, ending with the one that has "0.0000 0.1111".
# Written answer
Record 1
A relaxed structure of BaScCo2, computed with PBE-GGA.

Calculated values
As for the space group: No. 141. The uncorrected energy is -5.125 eV/atom. The size of the total moment is 1.03 μB per formula unit. Its energy relative to the elements is 492 meV per atom.

a = 9.0055 Å, b = 9.0055 Å, c = 9.0055 Å
α = 148.17°, β = 148.17°, γ = 45.63°
Closest atoms and distances in Å follow each position.
Fractional coordinates of all 8 atoms:
Ba1 0.3750 0.6250 0.7500  8 Co 3.45, 4 Sc 3.49
Ba2 0.6250 0.3750 0.2500  8 Co 3.45, 4 Sc 3.49
Sc1 0.1250 0.8750 0.2500  4 Co 2.41
Sc2 0.8750 0.1250 0.7500  4 Co 2.41
Co1 0.0000 0.0000 0.0000  2 Sc 2.41, 2 Co 2.47
Co2 0.0000 0.0000 0.5000  2 Sc 2.41, 2 Co 2.47
Co3 0.0000 0.5000 0.0000  2 Sc 2.41, 2 Co 2.47
Co4 0.5000 0.0000 0.5000  2 Sc 2.41, 2 Co 2.47



Record 2
A relaxed structure of SrCa2Mo, computed with PBE-GGA.

Calculated values
As for the space group: No. 119. The uncorrected energy is -3.392 eV/atom. The size of the total moment is 2.48 μB per formula unit. Its energy relative to the elements is 738 meV per atom.

a = 5.6633 Å, b = 5.6633 Å, c = 5.6633 Å
α = 119.88°, β = 119.88°, γ = 90.20°
Closest atoms and distances in Å follow each position.
Fractional coordinates of all 4 atoms:
Sr1 0.0000 0.0000 0.0000  4 Mo 3.47, 4 Ca 3.47
Ca1 0.2500 0.7500 0.5000  4 Ca 3.47, 4 Sr 3.47
Ca2 0.5000 0.5000 0.0000  4 Mo 3.47, 4 Ca 3.47
Mo1 0.7500 0.2500 0.5000  4 Ca 3.47, 4 Sr 3.47



Record 3
A relaxed structure of Sm3Zn3Ag, computed with PBE-GGA.

Calculated values
As for the space group: No. 44. The uncorrected energy is -3.263 eV/atom. The size of the total moment is 0.00 μB per formula unit. Its energy relative to the elements is -287 meV per atom.

a = 10.4327 Å, b = 10.4327 Å, c = 10.4327 Å
α = 160.10°, β = 154.74°, γ = 32.37°
Closest atoms and distances in Å follow each position.
Fractional coordinates of all 7 atoms:
Sm1 0.0000 0.0000 0.0000  7 Zn 3.08-3.32
Sm2 0.3874 0.3874 0.0000  5 Zn 3.10-3.34, 2 Ag 3.16
Sm3 0.6901 0.1901 0.5000  8 Zn 3.19-3.40, 4 Ag 3.21
Zn1 0.1245 0.6245 0.5000  1 Ag 2.67, 2 Zn 2.68
Zn2 0.5542 0.5542 0.0000  2 Zn 2.68
Zn3 0.8341 0.8341 0.0000  2 Ag 2.75
Ag1 0.2579 0.7579 0.5000  3 Zn 2.67-2.75



Record 4
A relaxed structure of K2Tl4Hg3Au, computed with PBE-GGA.

Calculated values
As for the space group: No. 115. The uncorrected energy is -1.709 eV/atom. The size of the total moment is 0.00 μB per formula unit. Its energy relative to the elements is -125 meV per atom.

a = 5.3391 Å, b = 5.3391 Å, c = 11.7938 Å
α = 90.00°, β = 90.00°, γ = 90.00°
Closest atoms and distances in Å follow each position.
Fractional coordinates of all 10 atoms:
K1 0.0000 0.5000 0.2321  6 Hg 3.82-4.10, 2 Au 3.82, 9 Tl 4.04-4.14
K2 0.5000 0.0000 0.7679  6 Hg 3.82-4.10, 2 Au 3.82, 9 Tl 4.04-4.14
Tl1 0.0000 0.0000 0.5000  4 Hg 3.10
Tl2 0.0000 0.5000 0.8889  3 Hg 2.97-3.02, 2 Au 2.97
Tl3 0.5000 0.0000 0.1111  3 Hg 2.97-3.02, 2 Au 2.97